This is part 2 of JJ and the Princess Girls. To see more activities, crafts, and princess girls visit part 1.

JJ and the Princess Girls

Monday, January 28, 2013

Our focus

Throughout the summer I had the girls memorize a bible verse and we worked on a lesson from Kids of Integrity.
Once school started, I stopped doing this.  I plan to do it again this summer, but in the mean time I need to make sure my girls are continuing to learn about Jesus.
The girls have been asking questions about being a Christian and what that means. 
I bought this little figurine on Christmas clearance.
I plan to leave it out year round as a reminder that Jesus was born for us and that he was born to die for our sins.  I want them to not just think about Jesus being born at Christmastime, but all the time

I put the verse up on our door.  Annabelle really likes it because she can read now and can point to the words as she reads them.  John 3:16 is also on one of the girls GT and the Halo Express cd.

I also printed off the Wordless Book and these little Gospel Fuzzies that I found on Pinterest. 
I am taking it slow with them.  I don't want to throw a bunch at them at once that they are overwhelmed and confused.  We read the verse and we talk about what it means. 
When they are ready to ask Jesus into their hearts, I want them to know what it truly means.  I don't want them to pray the prayer because that's what they think they are supposed to do.  I am fine with them not doing it right away.  I think it is so important that they know what it means to ask Jesus into their hearts. 
Much of our focus this year will be on learning about Jesus being born, dying on the cross, and saving us from our sins. 
I know that when they are ready to ask Jesus into their hearts, they will know exactly what it means and how much Jesus loves them.
Since today was a snow day, I was able to do some things with the girls.
We talked about our verse, did our Gospel fuzzies and wordless book, and made wordless bracelets.
We also did an activity to demonstrate how Jesus cleans the sins out of our hearts.
We had dirty pennies, which represented the sin in our hearts.
We put them in vinegar and salt, which represented Jesus.
And then we watched them come clean, which represented Jesus forgiving us.
I had the girls tell me about the Christmas story as well as the Easter story.  They both did a really good job.  Ariel got a little confused when I asked her who came to visit baby Jesus.  She was stuck so I said, "The 3...."  She said, "Little pigs."  Right away she knew it wasn't right, but it was pretty cute.

Sleep Over

Between two parts of the entry: materials data
No. 1
The following is a PBE+U calculation of FeAs2O7 after structural relaxation, from Materials Project.

Structure (CIF):
```
data_FeAs2O7
_cell_length_a 6.815
_cell_length_b 8.222
_cell_length_c 4.836
_cell_angle_alpha 90.00
_cell_angle_beta 103.13
_cell_angle_gamma 90.00
_space_group_name_H-M_alt 'C 1 2 1'
_space_group_IT_number 5
loop_
_space_group_symop_operation_xyz
'x,y,z'
'-x,y,-z'
'x+1/2,y+1/2,z'
'-x+1/2,y+1/2,-z'
loop_
_atom_site_label
_atom_site_fract_x
_atom_site_fract_y
_atom_site_fract_z
Fe1 0.000 0.000 0.000
As1 0.211 0.650 0.408
O1 0.000 0.554 0.500
O2 0.111 0.176 0.282
O3 0.145 0.837 0.273
O4 0.241 0.011 0.834
```

Results
Its energy above the most stable polymorph in this dataset is 0 meV per atom. As for the MP2020-corrected energy: -6.71 eV/atom. For the formation energy, the calculation gives -1.47 eV/atom. The raw total energy comes out at -6.00 eV per atom.

***

No. 2
The following is a PBE+U calculation of FeH10S2N4O8 after structural relaxation, from Materials Project.

Structure (CIF):
```
data_FeH10S2N4O8
_cell_length_a 5.415
_cell_length_b 5.954
_cell_length_c 7.567
_cell_angle_alpha 91.33
_cell_angle_beta 105.16
_cell_angle_gamma 99.70
_space_group_name_H-M_alt 'P -1'
_space_group_IT_number 2
loop_
_space_group_symop_operation_xyz
'x,y,z'
'-x,-y,-z'
loop_
_atom_site_label
_atom_site_fract_x
_atom_site_fract_y
_atom_site_fract_z
Fe1 0.000 0.000 0.000
H1 0.109 0.274 0.733
H2 0.128 0.939 0.367
H3 0.193 0.537 0.186
H4 0.271 0.603 0.418
H5 0.427 0.767 0.283
S1 0.368 0.762 0.779
N1 0.064 0.821 0.256
N2 0.250 0.668 0.288
O1 0.182 0.741 0.896
O2 0.301 0.552 0.651
O3 0.351 0.967 0.672
O4 0.361 0.227 0.100
```

Results
Its energy above the most stable polymorph in this dataset is 0 meV per atom. As for the MP2020-corrected energy: -5.97 eV/atom. For the formation energy, the calculation gives -1.02 eV/atom. The raw total energy comes out at -5.66 eV per atom.

***

No. 3
The following is a PBE+U calculation of Na5LiFe2P2C2O14 after structural relaxation, from Materials Project.

Structure (CIF):
```
data_Na5LiFe2P2C2O14
_cell_length_a 6.743
_cell_length_b 8.916
_cell_length_c 10.366
_cell_angle_alpha 88.90
_cell_angle_beta 89.94
_cell_angle_gamma 89.62
_space_group_name_H-M_alt 'P 1'
_space_group_IT_number 1
loop_
_space_group_symop_operation_xyz
'x,y,z'
loop_
_atom_site_label
_atom_site_fract_x
_atom_site_fract_y
_atom_site_fract_z
Na1 0.000 0.000 0.000
Na2 0.002 0.474 0.752
Na3 0.006 0.476 0.249
Na4 0.250 0.656 0.495
Na5 0.256 0.657 0.992
Na6 0.497 0.477 0.249
Na7 0.498 0.474 0.752
Na8 0.503 0.002 0.500
Na9 0.743 0.822 0.251
Na10 0.996 0.001 0.498
Li1 0.528 0.020 0.987
Li2 0.744 0.834 0.751
Fe1 0.253 0.093 0.259
Fe2 0.255 0.086 0.767
Fe3 0.749 0.385 0.484
Fe4 0.752 0.383 0.990
P1 0.249 0.322 0.521
P2 0.259 0.323 0.022
P3 0.747 0.148 0.225
P4 0.753 0.147 0.732
C1 0.251 0.799 0.239
C2 0.252 0.796 0.739
C3 0.742 0.694 0.998
C4 0.750 0.677 0.519
O1 0.063 0.419 0.483
O2 0.069 0.411 0.979
O3 0.247 0.170 0.454
End of the materials data

I had my sister, Erica, take Arianna over night.  I am trying to be done feeding her and night time is the hardest.  I thought if I wasn't around it would be fine.  I felt really good about this because the night before she slept all night long!  (FYI:  That is the youngest any of our sweet girls have slept through the night in a crib.  Our crib is basically brand new except for the bite marks from mad children)

She was pretty excited about trying out the pack and play

Annabelle saying good bye.  She had a really really really hard time leaving Arianna.  She was crying that she missed her before we even left to drop her off.

Caden was ready to take care of her.

Ariel was fine with leaving her.

I was sad to leave her, but held it together.
So, you want to know how the night went, right?
For some strange reason I checked my phone while I was sleeping.  I have never ever in my life checked my phone in the night.  (I don't even have a cool phone that you check - no facebook, no internet, no games, just slide it up and call.) 
Erica had texted me that Arianna had been crying for awhile.  I was able to text her back half asleep.  She wanted us to come get her, so I woke James and sent him on his way. 
He had no clue what time it was.  He thought he was getting her at like 5 in the morning. 
 It was 1:30.  We didn't make it very long, but it was nice of my sister to give it a try.
I did have to feed her when she got home.
I have since gotten tough and not fed her.
My baby is not such a baby anymore :(

Sunday, January 27, 2013

Build A Bear


My girls finally got to make a Build A Bear!

They always want to make one and I always say no.  We have lots of stuffed animals and I'm not even a fan of them.  Plus it seems a little pricy for this Dutch Girl.

For Christmas we got the girls each a gift card to make an animal and an outfit.

They were so excited to go, so we went a couple weekends ago. (Its actually been like a month, but blogger wasn't working right for me)

Ariel chose a rainbow bear and Annabelle chose a sweet bunny


They had fun stuffing their animals and giving them a heart.
The girls who worked with them was really sweet and fun!

Bath Time! 
They actually have an animal to give a bath to instead of just playing with it.

They finally get to be the kids walking around the mall with the special Build A Bear Boxes.

Sunday, January 13, 2013

Christmas Story

I like to be sure to tell the story of Jesus' birth many times throughout the Christmas season.
Reading it from the Bible is a little over the girls' heads so I usually read from books that we have.
I also had the girls take turns telling the story on the way to bringing Annabelle to school.

This year I made an interactive story for the girls.
I found it on pinterest from the website.
I printed out the characters on cardstock and then laminated them.
I love felt boards and wanted to do that with these guys so the girls could stick them to something.
I went to Hobby Lobby intending to get some felt and glue them onto it. 
As luck would have it, I found sticky back felt.  I peeled the paper off and stuck my characters to it.  Then I cut them out. 
*For my next project I will be sure to trace around the object and then cut.  The felt was super sticky and stuck to my scissors really badly.
I also made a quick little stable witht he felt.

(Between two parts of the article: data records)
+++
Arrangement a

First-principles (PBE with a Hubbard U) data for a relaxed structure of Li4V3P8O29, as listed in the Materials Project database.

Results
Total magnetic moment in μB per atom: 0.023
Crystal system: triclinic

Lattice parameters (Å, degrees): 9.759 9.776 14.242 90.05 90.25 119.94
Atoms (fractional coordinates):
Li1 0.000 0.000 0.000
Li2 0.009 0.414 0.492
Li3 0.100 0.172 0.604
Li4 0.445 0.983 0.490
Li5 0.464 0.850 0.987
Li6 0.553 0.170 0.110
Li7 0.754 0.028 0.544
Li8 0.869 0.397 0.993
V1 0.210 0.515 0.296
V2 0.211 0.080 0.800
V3 0.343 0.080 0.301
V4 0.347 0.645 0.801
V5 0.775 0.517 0.791
V6 0.780 0.650 0.306
P1 0.004 0.990 0.213
P2 0.007 0.394 0.708
P3 0.091 0.308 0.890
P4 0.092 0.172 0.392
P5 0.109 0.748 0.917
P6 0.112 0.742 0.421
P7 0.439 0.409 0.682
P8 0.450 0.417 0.184
P9 0.458 0.850 0.204
P10 0.462 0.990 0.709
P11 0.552 0.173 0.889
P12 0.554 0.774 0.386
P13 0.695 0.303 0.390
P14 0.696 0.766 0.891
P15 0.859 0.860 0.706
P16 0.863 0.399 0.208
O1 0.001 0.311 0.972
O2 0.002 0.102 0.480
O3 0.014 0.069 0.124
O4 0.032 0.422 0.214
O5 0.035 0.998 0.713
O6 0.096 0.754 0.021
O7 0.100 0.722 0.525
O8 0.102 0.589 0.375
O9 0.113 0.900 0.872
O10 0.116 0.162 0.890
O11 0.120 0.344 0.383
O12 0.157 0.981 0.234
O13 0.159 0.551 0.722
O14 0.247 0.172 0.381
O15 0.251 0.460 0.874
O16 0.263 0.751 0.885
O17 0.266 0.889 0.387
O18 0.284 0.261 0.725
O19 0.296 0.701 0.228
O20 0.304 0.423 0.230
O21 0.305 0.992 0.725
O22 0.392 0.621 0.379
O23 0.398 0.181 0.870
O24 0.427 0.390 0.578
O25 0.433 0.821 0.723
O26 0.443 0.000 0.211
O27 0.446 0.263 0.220
O28 0.449 0.424 0.080
O29 0.449 0.558 0.725
O30 0.520 0.164 0.389
O31 0.520 0.835 0.112
O32 0.527 0.743 0.891
O33 0.538 0.083 0.977
O34 0.539 0.058 0.618
O35 0.572 0.883 0.465
O36 0.573 0.087 0.798
O37 0.576 0.867 0.288
O38 0.587 0.403 0.725
O39 0.596 0.557 0.234
O40 0.685 0.604 0.867
O41 0.690 0.736 0.387
O42 0.698 0.340 0.889
O43 0.699 0.463 0.382
O44 0.763 0.280 0.290
O45 0.777 0.875 0.799
O46 0.781 0.325 0.117
O47 0.784 0.884 0.622
O48 0.786 0.287 0.468
O49 0.792 0.844 0.975
O50 0.854 0.698 0.715
O51 0.860 0.821 0.223
O52 0.862 0.421 0.718
O53 0.871 0.558 0.228
O54 0.963 0.603 0.869
O55 0.967 0.749 0.376
O56 0.984 0.083 0.301
O57 0.989 0.280 0.794
O58 0.999 0.309 0.618

Arrangement b

First-principles (PBE with a Hubbard U) data for a relaxed structure of Li4V3P8O29, as listed in the Materials Project database.

Results
Total magnetic moment in μB per atom: 0.023
Crystal system: triclinic

Lattice parameters (Å, degrees): 9.800 9.804 14.016 89.76 89.76 60.05
Atoms (fractional coordinates):
Li1 0.000 0.000 0.000
Li2 0.004 0.585 0.504
Li3 0.130 0.002 0.504
Li4 0.142 0.447 0.000
Li5 0.327 0.900 0.880
Li6 0.456 0.770 0.384
Li7 0.549 0.448 0.505
Li8 0.905 0.771 0.878
V1 0.228 0.112 0.692
V2 0.234 0.243 0.197
V3 0.657 0.245 0.696
V4 0.665 0.670 0.186
V5 0.789 0.113 0.196
V6 0.797 0.676 0.691
P1 0.139 0.996 0.283
P2 0.142 0.445 0.786
P3 0.315 0.361 0.601
P4 0.317 0.909 0.101
P5 0.458 0.364 0.099
P6 0.461 0.765 0.600
+++

I really liked how it turned out and the girls had fun picking out which people were needed for different parts of the story.

I think I will try and do this for other Bible stories.
It is a good way for the girls to be able to use visuals to help them re-tell a story.

Thursday, January 3, 2013

Lunch Time

I always let Ariel eat lunch in the living room while watching TV.  I mentioned this before in a previous post.  She takes so long to eat so I just let her do this instead of sitting at the table forever.

Since Annabelle is home she wanted to join Ariel in the living room.
Arianna hadn't laid down for a nap yet so she wanted to be like her sisters.

Sweet Nani Girl

Arianna is such a sweet little girl.  She is growing up so quickly.  She is hardly a baby anymore.

Watching her sister playing in the snow.
she does have snowpants and has played in the snow

I bought this car costume at Target for 90% off, so I only paid $3 for it.  Arianna loves to wear it around! 
This is her "cheese" face when I am going to take a picture of her.

Arianna got a stuffed lady bug for Christmas.  Its name is Bugsy (came with it) and it came with the same birthday as Arianna (August 19).  She loves this little bug.  She carries it all over and calls it Bubsy.
I got a new camera, but it seems to take a lot of blurry pictures.  I don't think it is me because if I take a picture of a boot it is still blurry.
Love this sweetie girl so so much!

Wednesday, January 2, 2013

Bonding with Belly

I had such a great time with my favorite 5 year old.
The other two girl went to playgroup and Annabelle hung out with me all day.
I could tell she was craving attention and needed some one-on-one time with me.
We decided her love language is Quality Time.  I found this reference sheet on pinterest and I really like how they give you ways to identify what your child's love language is as well as tips on how to meet their needs.

I took Annabelle grocery shopping with me, which was a nice big chunk of time to talk without any interruptions (besides deciding which price was better)
Then we went to her (and mine) favorite lunch spot - Panera.
Then we went home and spent a lot of time doing crafts.  This is one of her most favorite things to do, and has been since she was about 18 months. (It might be the other girls favorite too, but I didn't let them do crafts at 18 months, must have been a first child thing.  Actually Ariel doesn't care for crafts that much).
She started out painting rocks, but ended up making a lovely creation that we will add to the Fairy Village.

After crafting we went to JP's for an afternoon snack.

**Between two parts of the article: calculated crystals**
=====
No. 1
CrFe2O5: relaxed, PBE+U.

Properties
size of the total moment = 12.0 μB/f.u.
energy relative to the lowest polymorph listed for this composition = 0.000 eV/atom

a = 5.686 Å, b = 5.686 Å, c = 7.067 Å
α = 109.31°, β = 109.31°, γ = 53.51°
Positions (direct):
1 Cr 0.000 0.000 0.000
2 Cr 0.000 0.000 0.500
3 Fe 0.363 0.374 0.775
4 Fe 0.374 0.363 0.275
5 Fe 0.626 0.637 0.725
6 Fe 0.637 0.626 0.225
7 O 0.035 0.328 0.147
8 O 0.186 0.814 0.250
9 O 0.253 0.583 0.550
10 O 0.328 0.035 0.647
11 O 0.417 0.747 0.950
12 O 0.583 0.253 0.050
13 O 0.672 0.965 0.353
14 O 0.747 0.417 0.450
15 O 0.814 0.186 0.750
16 O 0.965 0.672 0.853

No. 2
CrFeO3: relaxed, PBE+U.

a = 5.466 Å, b = 5.466 Å, c = 5.466 Å
α = 55.62°, β = 55.62°, γ = 55.62°
Positions (direct):
1 Cr 0.153 0.153 0.153
2 Cr 0.847 0.847 0.847
3 Fe 0.357 0.357 0.357
4 Fe 0.643 0.643 0.643
5 O 0.053 0.755 0.446
6 O 0.245 0.554 0.947
7 O 0.446 0.053 0.755
8 O 0.554 0.947 0.245
9 O 0.755 0.446 0.053
10 O 0.947 0.245 0.554

No. 3
CrFeO3: relaxed, PBE+U.

Properties
size of the total moment = 7.4 μB/f.u.

a = 10.034 Å, b = 10.072 Å, c = 10.273 Å
α = 87.43°, β = 89.10°, γ = 82.07°
Positions (direct):
1 Cr 0.000 0.000 0.000
2 Cr 0.003 0.774 0.200
3 Cr 0.058 0.026 0.655
4 Cr 0.101 0.426 0.135
5 Cr 0.127 0.767 0.531
6 Cr 0.301 0.259 0.369
7 Cr 0.316 0.673 0.326
8 Cr 0.356 0.973 0.457
9 Cr 0.573 0.231 0.472
10 Cr 0.608 0.023 0.690
11 Cr 0.670 0.543 0.347
12 Cr 0.820 0.847 0.856
13 Cr 0.843 0.591 0.034
14 Cr 0.889 0.540 0.523
15 Cr 0.908 0.245 0.117
16 Cr 0.917 0.425 0.816
17 Fe 0.112 0.593 0.863
18 Fe 0.226 0.509 0.620
19 Fe 0.251 0.982 0.177
20 Fe 0.257 0.124 0.914
21 Fe 0.312 0.225 0.668
22 Fe 0.321 0.833 0.793
23 Fe 0.365 0.387 0.907
24 Fe 0.456 0.410 0.179
25 Fe 0.507 0.032 0.964
26 Fe 0.586 0.597 0.905
27 Fe 0.607 0.753 0.623
28 Fe 0.652 0.408 0.655
29 Fe 0.680 0.118 0.223
30 Fe 0.700 0.229 0.913
31 Fe 0.717 0.817 0.148
32 Fe 0.902 0.053 0.416
33 O 0.006 0.609 0.131
34 O 0.008 0.311 0.236
35 O 0.037 0.611 0.560
36 O 0.109 0.435 0.764
37 O 0.117 0.867 0.108
38 O 0.122 0.739 0.341
39 O 0.126 0.126 0.057
40 O 0.164 0.144 0.747
41 O 0.202 0.693 0.742
42 O 0.215 0.488 0.992
43 O 0.223 0.924 0.591
44 O 0.232 0.353 0.512
45 O 0.240 0.103 0.335
46 O 0.266 0.403 0.238
47 O 0.300 0.640 0.508
48 O 0.355 0.931 0.964
49 O 0.358 0.852 0.313
50 O 0.382 0.396 0.721
51 O 0.401 0.148 0.512
52 O 0.420 0.219 0.995
53 O 0.432 0.084 0.773
54 O 0.480 0.488 0.005
55 O 0.480 0.560 0.275
56 O 0.484 0.247 0.294
57 O 0.498 0.698 0.766
58 O 0.519 0.911 0.553
59 O 0.598 0.984 0.137
60 O 0.611 0.404 0.463
61 O 0.633 0.208 0.654
62 O 0.683 0.026 0.870
63 O 0.693 0.734 0.957
64 O 0.700 0.617 0.524
65 O 0.707 0.092 0.409
66 O 0.708 0.278 0.121
67 O 0.710 0.438 0.853
68 O 0.713 0.624 0.179
69 O 0.734 0.853 0.689
70 O 0.845 0.821 0.287
71 O 0.859 0.410 0.643
72 O 0.864 0.493 0.368
73 O 0.879 0.855 0.039
74 O 0.888 0.081 0.221
75 O 0.893 0.171 0.951
76 O 0.917 0.625 0.856
77 O 0.943 0.412 0.013
78 O 0.974 0.912 0.535
79 O 0.980 0.154 0.545
=====

I had a great day spending it with Annabelle. 
I think it is so important to make sure each of my girls feel like they can have time with me when they need it. I especially need to make sure I recognize this with Annabelle.  As the oldest, she is the most independent and can do most things on her own so she doens't need me to be right there all the time.  She is also a really good girl and doesn't even get that much negative attention from me getting after her.
 Already this evening I can see a change in her attitude.  She is a bit more easy going and cheerful.
Love my girl so much!